Evolution: Hunting Began 1.5 Million Years Ago, Says Scientist

Bone fragment suggests human ancestors killed animals for food.

Oct. 11, 2012 — -- The child was only two years old, or maybe even younger, when many months of hunger took its toll. He or she finally collapsed and died, ending a short and difficult life.

The bones were slowly buried in desert sand, and nearly all the remains gradually disappeared. All the bones, that is, except a tiny fragment from the child's skull, about two inches long. It is a fragment that tells an amazing story.

The small piece of bone is 1.5 million years old, and it was found by an international team of anthropologists in Africa's fabled Olduvai Gorge in northern Tanzania, where scientists believe the human race began.

"It was immediately clear from the bone structure that this was one of our ancestors," anthropologist Charles Musiba of the University of Colorado in Denver said in a telephone interview. Musiba has made many trips back to Tanzania, where he was born, to dig through the hallowed grounds that have produced so many paleontological treasures.

But the bone he and others discovered on that day was unlike any others that he had seen. It bore the clear evidence of the disease that claimed the life of the 2-year-old. When they later studied the fragment under a microscope, they found tiny craters on its surface, indicating the child had suffered from anemia for months.

The child eventually died of malnutrition.

In a study published in the current issue of the peer-reviewed journal PLOS One, the scientists argue that the child belonged to a clan that depended on hunting for a major part of its diet. Hunting 1.5 million years ago is a surprise, since many scientists believe active hunting emerged much later in human evolution, possibly less than 100,000 years ago. Prior to hunting, our ancestors were scavengers, capturing small animals or eating whatever meat was left behind by other carnivores.

But the damage to the bone was found to be porotic hyperostosis, a disease caused by a lack of vitamin B12 and B9, so the child must have been accustomed to a diet rich in meat protein. Either the child, or its nurturing mother, must have suddenly been deprived of meat, causing anemia, malnutrition and ultimately death, the scientists contend.

Musiba said the meat the child depended on could not have come just from scavenging, because "you can't compete with hyenas and other scavengers and get enough meat to sustain yourself."

The finding is significant because of the major role hunting is believed to have played in human evolution. Hunting is more efficient as a group effort than when one tries alone, so early hunters formed clans, or cultures, the predecessors to modern civilization. And the nourishment in meat is rich enough that it allowed our brains to grow, setting us apart from all other animals.

/*
# 1
Starting from a GGA-PBE-relaxed structure, the powder XRD pattern of CeTh3 was simulated for Cu Kα, 1.54184 Å.
Lines closer than 0.1° are merged.

Top 10 peaks for 5 to 70 degrees two-theta, sorted by position:
Position (°2θ)	d [Å]	I/Imax	index
17.8	4.991	3	1 0 0
25.2	3.529	3	1 1 0
31.0	2.881	100	1 1 1
36.0	2.495	51	2 0 0
40.4	2.232	2	2 1 0
44.5	2.037	1	2 1 1
51.8	1.764	37	2 2 0
55.2	1.664	1	3 0 0
61.6	1.505	44	3 1 1
64.7	1.441	13	2 2 2

Cell and atoms:
```
data_CeTh3
_chemical_formula_sum 'Ce1 Th3'
_cell_length_a 4.9906
_cell_length_b 4.9906
_cell_length_c 4.9906
_cell_angle_alpha 90.00
_cell_angle_beta 90.00
_cell_angle_gamma 90.00
_symmetry_space_group_name_H-M 'P m -3 m'
_symmetry_Int_Tables_number 221
_symmetry_space_group_name_Hall '-P 4 2 3'
loop_
_atom_site_label
_atom_site_type_symbol
_atom_site_fract_x
_atom_site_fract_y
_atom_site_fract_z
Ce1 Ce 0.0000 0.0000 0.0000
Th1 Th 0.0000 0.5000 0.5000
```

***

# 2
Starting from a GGA-PBE-relaxed structure, the powder XRD pattern of Zr2VNi3 was simulated for Cu Kα, 1.54184 Å.
Lines closer than 0.1° are merged.

Top 10 peaks for 5 to 70 degrees two-theta, sorted by position:
Position (°2θ)	d [Å]	I/Imax	index
35.7	2.515	36	1 1 0
36.4	2.467	47	1 0 4
42.2	2.143	58	0 2 1
42.5	2.128	100	1 1 3
43.1	2.098	37	0 1 5
44.3	2.047	36	2 0 2
45.5	1.995	16	0 0 6
64.6	1.442	17	2 1 4
68.8	1.364	22	3 0 3
69.3	1.357	16	1 2 5

Cell and atoms:
```
data_Zr2VNi3
_chemical_formula_sum 'Zr6 V3 Ni9'
_cell_length_a 5.0296
_cell_length_b 5.0296
_cell_length_c 11.9716
_cell_angle_alpha 90.00
_cell_angle_beta 90.00
_cell_angle_gamma 120.00
_symmetry_space_group_name_H-M 'R -3 m'
_symmetry_Int_Tables_number 166
_symmetry_space_group_name_Hall '-R 3 2"'
loop_
_atom_site_label
_atom_site_type_symbol
_atom_site_fract_x
_atom_site_fract_y
_atom_site_fract_z
Zr1 Zr 0.0000 0.0000 0.1298
V1 V 0.0000 0.0000 0.5000
Ni1 Ni 0.0000 0.5000 0.0000
```

***

# 3
Starting from a GGA-PBE-relaxed structure, the powder XRD pattern of Ce2Si5Rh3 was simulated for Cu Kα, 1.54184 Å.
Lines closer than 0.1° are merged.

Top 10 peaks for 5 to 70 degrees two-theta, sorted by position:
Position (°2θ)	d [Å]	I/Imax	index
24.6	3.616	31	1 3 0
30.5	2.930	21	0 0 2
30.7	2.912	20	0 4 0
34.7	2.588	100	3 2 1
35.5	2.525	47	2 0 2
35.7	2.514	41	2 4 0
43.8	2.066	62	0 4 2
50.9	1.794	23	5 2 1
56.9	1.617	24	3 2 3
57.2	1.611	20	3 6 1

Cell and atoms:
```
data_Ce2Si5Rh3
_chemical_formula_sum 'Ce8 Si20 Rh12'
_cell_length_a 9.9595
_cell_length_b 11.6499
_cell_length_c 5.8607
_cell_angle_alpha 90.00
_cell_angle_beta 90.00
_cell_angle_gamma 90.00
_symmetry_space_group_name_H-M 'I b a m'
_symmetry_Int_Tables_number 72
_symmetry_space_group_name_Hall '-I 2 2c'
loop_
_atom_site_label
_atom_site_type_symbol
_atom_site_fract_x
_atom_site_fract_y
_atom_site_fract_z
Ce1 Ce 0.2317 0.1322 0.0000
Si1 Si 0.0000 0.0000 0.2500
Si2 Si 0.0000 0.2750 0.2500
Si3 Si 0.1526 0.3928 0.0000
Rh1 Rh 0.0000 0.5000 0.2500
Rh2 Rh 0.1118 0.1383 0.5000
```

***

# 4
*/

Since the child who died of malnutrition was from a species that predated Homo sapiens, if these scientists are right, we have been hunters throughout human history.

However, some anthropologists, including the often-cited Lewis Binford, who died last year, have argued that the early stone tools found in digs around the world might have been adequate for harvesting a dead animal, but they were not suitable for hunting. Thus, some argue, humans remained scavengers and gatherers until relatively recently, more than a million years after that child died in Tanzania.

"Scavenging is very opportunistic," Musiba said. It depends on another animal making the kill, and then abandoning its own dinner. That would suggest that if our ancestors were used to meat, but dependent on others for the kill, they would probably have faced frequent and severe shortages. So many of the bones discovered in Olduvai Gorge should show vitamin deficiencies.

"We looked for that" in many other bones from that region, Musiba said, "but we didn't see it."

Musiba and his team, which includes anthropologists from Spain, South Africa, France and the United States, are currently studying the bones of animals recovered from the same site. They show the marks of tools, so they were obviously skinned and eaten by our ancestors, but were they also hunted?

Musiba thinks they were, partly because some marks show repeated blows, suggesting the animal was attacked while it was still alive. That research has not yet been published for other scientists to scrutinize.

"There is information which strongly suggests active hunting was prevalent by 1.5 million years ago," Musiba said.

It would not have been as difficult as might seem, even though the weapons – if they were weapons – were pretty limited. They didn't have spears, or projectiles of any kind, so they would probably beat a large animal over the head with a chunk of rock.

"Ambush is the best method," Musiba said. "You would know your landscape very well, and you would know where the animals would be congregating. It wouldn't be that difficult."

[Between two parts of the text: materials data]
/*
Rb3In5Au6: simulated PXRD pattern (λ = 1.5418 Å (Cu Kα)), based on a cell relaxed with GGA-PBE.

The 10 most intense peaks (5 to 70 degrees two-theta), in order of rising 2θ:
d (Å), I/Imax
9.300, 23
6.160, 60
3.103, 47
2.942, 100
2.388, 21
2.372, 44
2.363, 29
2.267, 48
2.091, 27
1.674, 20

Cell and atoms:
```
Rb3In5Au6
1.0
4.745 0.000 0.000
0.000 14.178 0.000
0.000 0.000 12.321
Rb In Au
6 10 12
direct
0.250 0.106 0.248 Rb
0.250 0.394 0.248 Rb
0.250 0.750 0.237 Rb
0.750 0.250 0.763 Rb
0.750 0.606 0.752 Rb
0.750 0.894 0.752 Rb
0.250 0.074 0.647 In
0.250 0.426 0.647 In
0.250 0.611 0.993 In
0.250 0.750 0.567 In
0.250 0.889 0.993 In
0.750 0.111 0.007 In
0.750 0.250 0.433 In
0.750 0.389 0.007 In
0.750 0.574 0.353 In
0.750 0.926 0.353 In
0.250 0.065 0.877 Au
0.250 0.250 0.546 Au
0.250 0.250 0.992 Au
0.250 0.435 0.877 Au
0.250 0.562 0.477 Au
0.250 0.938 0.477 Au
0.750 0.062 0.523 Au
0.750 0.438 0.523 Au
0.750 0.565 0.123 Au
0.750 0.750 0.008 Au
0.750 0.750 0.454 Au
0.750 0.935 0.123 Au
```

=====

Zn3SiNi2: simulated PXRD pattern (λ = 1.5418 Å (Cu Kα)), based on a cell relaxed with GGA-PBE.

The 10 most intense peaks (5 to 70 degrees two-theta), in order of rising 2θ:
d (Å), I/Imax
3.236, 2
3.098, 9
2.683, 2
2.462, 7
2.191, 37
2.065, 100
1.897, 15
1.789, 9
1.503, 6
1.397, 5

Cell and atoms:
```
Zn3SiNi2
1.0
0.000 5.366 5.366
5.366 0.000 5.366
5.366 5.366 0.000
Zn Si Ni
12 4 8
direct
0.061 0.061 0.689 Zn
0.061 0.689 0.061 Zn
0.061 0.689 0.689 Zn
0.311 0.311 0.939 Zn
0.311 0.939 0.311 Zn
0.311 0.939 0.939 Zn
0.689 0.061 0.061 Zn
0.689 0.061 0.689 Zn
0.689 0.689 0.061 Zn
0.939 0.311 0.311 Zn
0.939 0.311 0.939 Zn
0.939 0.939 0.311 Zn
0.000 0.500 0.500 Si
0.500 0.000 0.500 Si
0.500 0.500 0.000 Si
0.500 0.500 0.500 Si
0.289 0.289 0.289 Ni
0.289 0.289 0.632 Ni
0.289 0.632 0.289 Ni
0.368 0.711 0.711 Ni
0.632 0.289 0.289 Ni
0.711 0.368 0.711 Ni
0.711 0.711 0.368 Ni
0.711 0.711 0.711 Ni
```

=====

CsZn: simulated PXRD pattern (λ = 1.5418 Å (Cu Kα)), based on a cell relaxed with GGA-PBE.

The 10 most intense peaks (5 to 70 degrees two-theta), in order of rising 2θ:
d (Å), I/Imax
9.556, 100
4.580, 49
3.791, 46
3.748, 50
3.410, 98
3.278, 49
3.212, 57
3.185, 80
2.362, 39
1.934, 38

Cell and atoms:
```
CsZn
1.0
13.514 0.000 0.000
0.000 13.514 0.000
0.000 0.000 4.869
Cs Zn
8 8
direct
0.000 0.283 0.000 Cs
0.000 0.717 0.000 Cs
0.283 0.000 0.000 Cs
0.330 0.330 0.500 Cs
0.330 0.670 0.500 Cs
0.670 0.330 0.500 Cs
0.670 0.670 0.500 Cs
0.717 0.000 0.000 Cs
0.098 0.500 0.500 Zn
0.160 0.500 0.000 Zn
0.500 0.098 0.500 Zn
0.500 0.160 0.000 Zn
0.500 0.840 0.000 Zn
0.500 0.902 0.500 Zn
0.840 0.500 0.000 Zn
0.902 0.500 0.500 Zn
```

=====

This entry pairs a crystal structure of K2TiMnO4 with its theoretical powder diffractogram. Radiation: Cu Ka. Structure: a PBE+U-relaxed structure.
Peak positions follow from Bragg's law for the DFT cell and can differ from measured ones.

Atomic structure:
a b c (Å): 6.114 6.884 6.552
angles (deg): 90.00 90.00 90.00
*/

Still, the message in that tiny piece of bone is clear. For our ancestors, nothing came easy.

"The child had to have had a stressed diet for a long period of time, from three to six months, or even a year," he said. "Imagine dying at two years old of malnutrition."

It was not a life, he said, that any of us would want to live.